# Request
Find the line further down that holds "-1.619 -0.935", then echo that line and all lines after it there.

# Excerpt
Here is an optimized crystal structure of Np4Ta3FeC8 from Alexandria. Energies are from PBE.

```
16
Lattice="3.238 1.869 5.543 -3.238 1.869 5.543 0.000 -3.738 5.543" Properties=species:S:1:pos:R:3 pbc="T T T"
Np 0.000 0.000 0.000
Np -1.619 -0.935 5.543
Np -1.619 0.935 11.087
Np 0.000 1.869 5.543
Ta -3.238 0.000 8.315
Ta -1.619 0.935 2.772
Ta 1.619 0.935 2.772
Fe 0.000 0.000 8.315
C 0.000 0.000 4.013
C -1.612 -0.930 9.558
C 0.000 -1.861 7.071
C -1.612 0.930 7.071
C 1.612 -0.930 9.558
C 0.000 1.861 9.558
C 1.612 0.930 7.071
C 0.000 0.000 12.617
```

# Completed
Np -1.619 -0.935 5.543
Np -1.619 0.935 11.087
Np 0.000 1.869 5.543
Ta -3.238 0.000 8.315
Ta -1.619 0.935 2.772
Ta 1.619 0.935 2.772
Fe 0.000 0.000 8.315
C 0.000 0.000 4.013
C -1.612 -0.930 9.558
C 0.000 -1.861 7.071
C -1.612 0.930 7.071
C 1.612 -0.930 9.558
C 0.000 1.861 9.558
C 1.612 0.930 7.071
C 0.000 0.000 12.617
```